I am having some difficulty understanding the results I am getting, maybe it is due to something simple but I've been trying to figure it out for the past few hours.

I am using 16F628A reading and writing to 24LC16 and displaying results on LCD.
I am also using another application called PonyProg to read/write to my same EEPROM.

So here is the story;
I write to the 2416 these values:
for i2caddr = 0 to 2048 step 16
    i2cwrite d1,d2,i2cdevice,i2caddr,[$01]:i2caddr = i2caddr + 1:pause 10
    i2cwrite d1,d2,i2cdevice,i2caddr,[$01]:i2caddr = i2caddr + 1:pause 10
    i2cwrite d1,d2,i2cdevice,i2caddr,[$01]:i2caddr = i2caddr + 1:pause 10
    i2cwrite d1,d2,i2cdevice,i2caddr,[$3c]:i2caddr = i2caddr + 1:pause 10
    i2cwrite d1,d2,i2cdevice,i2caddr,[$3c]:i2caddr = i2caddr + 1:pause 10
    i2cwrite d1,d2,i2cdevice,i2caddr,[$3c]:i2caddr = i2caddr + 1:pause 10
    i2cwrite d1,d2,i2cdevice,i2caddr,[$3c]:i2caddr = i2caddr + 1:pause 10
    i2cwrite d1,d2,i2cdevice,i2caddr,[$3c]:i2caddr = i2caddr + 1:pause 10
    i2cwrite d1,d2,i2cdevice,i2caddr,[$3c]:i2caddr = i2caddr + 1:pause 10
    i2cwrite d1,d2,i2cdevice,i2caddr,[$08]:i2caddr = i2caddr + 1:pause 10
    i2cwrite d1,d2,i2cdevice,i2caddr,[$08]:i2caddr = i2caddr + 1:pause 10
    i2cwrite d1,d2,i2cdevice,i2caddr,[$08]:i2caddr = i2caddr + 1:pause 10
    i2cwrite d1,d2,i2cdevice,i2caddr,[$21]:i2caddr = i2caddr + 1:pause 10
    i2cwrite d1,d2,i2cdevice,i2caddr,[$21]:i2caddr = i2caddr + 1:pause 10
    i2cwrite d1,d2,i2cdevice,i2caddr,[$21]:i2caddr = i2caddr + 1:pause 10
    i2cwrite d1,d2,i2cdevice,i2caddr,[$FF]:pause 10
then I read back the values and display on the LCD in this way:
i2caddr = 0
i2cread d1,d2,i2cdevice,i2caddr,[dat[0],dat[1],dat[2],dat[3],dat[4],dat[5],dat[6],dat[7],dat[8],dat[9],dat[10],dat[11],dat[12],dat[13],dat[14],dat[15]]
pause 10
errchk = 0
for i = 0 to 15
    errchk = errchk + dat[i]
    LCDOUT $FE,1
    lcdout $FE,$80,dec errchk: pause 3000
Now I am expecting to get errchk = 741 but I get 716.
I cycled through each value after the addition within the loop and the last number to add up is 230 although the value I wrote was $FF = 255

Furthermore if I display on the LCD all values I see this:

but $cc = 204

Reading the content of 2416 with PonyProg shows properly:
01 01 01 3c 3c 3c 3c 3c 3c 08 08 08 21 21 21 ff

My code is not cleaned up because I was trying different ways but I always get to the same results I tried changing dat[] to word instead of byte but all the data gets messed up on the 2416.

TRISB = 0                   ' Make PORTB all outputs
CMCON = 7                   ' Disable comparator

## Here the text breaks off for crystal structures
-- begin --
! MgV3O6 | Alexandria via LeMat-Bulk | PBE with a Hubbard U | relaxed; values from VASP
! Calculated total energy in eV/cell: -148.926
&SYSTEM
  ibrav = 0, nat = 20, ntyp = 3
/
ATOMIC_SPECIES
Mg 24.30 Mg.upf
V 50.94 V.upf
O 16.00 O.upf
ATOMIC_POSITIONS crystal
Mg 0.149 0.851 0.500
Mg 0.851 0.149 0.000
V 0.083 0.331 0.529
V 0.331 0.083 0.029
V 0.394 0.606 0.078
V 0.606 0.394 0.578
V 0.669 0.917 0.529
V 0.917 0.669 0.029
O 0.035 0.965 0.161
O 0.103 0.568 0.297
O 0.224 0.776 0.854
O 0.309 0.354 0.800
O 0.354 0.309 0.300
O 0.432 0.897 0.297
O 0.568 0.103 0.797
O 0.646 0.691 0.800
O 0.691 0.646 0.300
O 0.776 0.224 0.354
O 0.897 0.432 0.797
O 0.965 0.035 0.661
CELL_PARAMETERS angstrom
3.948 -5.052 0.000
3.948 5.052 0.000
0.000 0.000 5.138

~~~~~

# 1
This record from Alexandria via LeMat-Bulk describes a relaxed structure of CaPrTlNi. The functional is PBE.

The structure belongs to space group F-43m (No. 216); the cell edges are 7.439, 7.439 and 7.439 Å and the angles 90.00°, 90.00° and 90.00°. Symmetry generates all atoms from Ca at (0.000, 0.000, 0.000), Pr at (0.000, 0.000, 0.500), Tl at (0.250, 0.250, 0.750) and Ni at (0.250, 0.250, 0.250).

The total energy comes out at -15.6 eV/f.u. Its formation energy is -0.67 eV per formula unit.


# 2
This record from Alexandria via LeMat-Bulk describes a relaxed structure of LaY2Ni. The functional is PBE.

The structure belongs to space group F-43m (No. 216); the cell edges are 7.515, 7.515 and 7.515 Å and the angles 90.00°, 90.00° and 90.00°. Symmetry generates all atoms from La at (0.000, 0.000, 0.000), Y at (0.000, 0.000, 0.500), Y at (0.250, 0.250, 0.250) and Ni at (0.250, 0.250, 0.750).

The total energy comes out at -22.7 eV/f.u. As for the excess energy over the best structure of this formula in the dataset: 1.82 eV per formula unit. Its formation energy is 0.95 eV per formula unit.


# 3
This record from Alexandria via LeMat-Bulk describes a relaxed structure of PrDyTh. The functional is PBE.

The structure belongs to space group I4mm (No. 107); the cell edges are 3.623, 3.623 and 15.267 Å and the angles 90.00°, 90.00° and 90.00°. Symmetry generates all atoms from Pr at (0.000, 0.000, 0.000), Dy at (0.000, 0.000, 0.682) and Th at (0.000, 0.000, 0.337).

The total energy comes out at -16.7 eV/f.u. As for the excess energy over the best structure of this formula in the dataset: 0.08 eV per formula unit. Its formation energy is 0.10 eV per formula unit.


# 4
-- stop --

Dat         VAR byte[15]
I           var byte
D1          var PORTA.2
D2          VAR PORTA.3
I2CAddr     Var byte
I2CDevice   var byte
ERRchk      var word
OK          VAR PORTA.4
;NOTOK       var PORTA.5
ERRStatus   var bit

Between two parts of the text: materials data >
'''
# 1
A relaxed structure of PaAlGa4Ir2, computed with GGA-PBE.

Lattice parameters (Å, degrees): 3.5308 3.5308 11.6461 90.00 90.00 90.00
Space group P4/mmm (No. 123)
Symmetry-distinct sites (fractional):
Pa1 0.0000 0.0000 0.0000
Al1 0.0000 0.0000 0.5000
Ga1 0.0000 0.5000 0.2227
Ir1 0.5000 0.5000 0.3865

=====

# 2
A relaxed structure of AlGaIrPd, computed with GGA-PBE.

Lattice parameters (Å, degrees): 6.1322 6.1322 6.1322 90.00 90.00 90.00
Space group F-43m (No. 216)
Symmetry-distinct sites (fractional):
Al1 0.0000 0.0000 0.0000
Ga1 0.0000 0.0000 0.5000
Ir1 0.2500 0.2500 0.7500
Pd1 0.2500 0.2500 0.2500

=====

# 3
A relaxed structure of Pm2AlGa4Ir3, computed with GGA-PBE.

Lattice parameters (Å, degrees): 4.0815 4.0815 11.3039 90.00 90.00 90.00
Space group P-4m2 (No. 115)
Symmetry-distinct sites (fractional):
Pm1 0.0000 0.5000 0.2440
Al1 0.0000 0.0000 0.5000
Ga1 0.0000 0.0000 0.0000
Ga2 0.0000 0.5000 0.6398
Ga3 0.5000 0.5000 0.0000
Ir1 0.0000 0.5000 0.8642
Ir2 0.5000 0.5000 0.5000

=====

# 4
A relaxed structure of Pm2AlGa6Ir, computed with GGA-PBE.

Lattice parameters (Å, degrees): 6.3889 6.3889 35.5677 90.00 90.00 120.00
Space group R-3m (No. 166, hexagonal axes)
Symmetry-distinct sites (fractional):
Pm1 0.0000 0.0000 0.1345
Pm2 0.0000 0.0000 0.3120
Al1 0.0000 0.0000 0.0000
Al2 0.0000 0.0000 0.5000
Ga1 0.0304 0.5152 0.7211
Ga2 0.0755 0.5378 0.8803
Ir1 0.0000 0.0000 0.4301

=====

# 5
A relaxed structure of Pm2Al2GaIr5, computed with GGA-PBE.

Lattice parameters (Å, degrees): 9.9708 9.9708 3.4966 90.00 90.00 90.00
Space group P4/mbm (No. 127)
Symmetry-distinct sites (fractional):
Pm1 0.1761 0.3239 0.0000
Al1 0.1237 0.6237 0.0000
Ga1 0.0000 0.0000 0.0000
Ir1 0.0000 0.5000 0.5000
Ir2 0.0622 0.7953 0.5000

=====

# 6
A relaxed structure of PmAlGaIr2, computed with GGA-PBE.

Lattice parameters (Å, degrees): 4.4089 13.3324 6.7096 90.00 90.00 90.00
Space group Cmcm (No. 63)
Symmetry-distinct sites (fractional):
Pm1 0.0000 0.1183 0.2500
Al1 0.0000 0.1898 0.7500
Ga1 0.0000 0.5000 0.0000
Ir1 0.0000 0.3206 0.0405

=====

Result set for M_tot: 0.0, 0.0, 0.0, 0.0, 0.0, 0.0 μB/cell, one per record in the order listed.
Result set for uncorrected energy: -5.48, -5.86, -5.86, -4.42, -7.07, -6.43 eV per atom, one per record in the order listed.
Result set for formation energy: -0.10, -0.66, -0.67, -0.39, -0.64, -0.59 eV per atom, one per record in the order listed.


VASP calculation (meta-GGA SCAN) on a PBEsol-optimized structure of GdCuAs2.

final energy: -29.505 eV per atom
space-group type: P4/nmm (129)
total moment: 1.742 μB per atom
energy of formation from the pure elements: -906 meV/atom

Structure (POSCAR):
```
GdCuAs2
1.0
3.880 0.000 0.000
0.000 3.880 0.000
0.000 0.000 9.739
Gd Cu As
2 2 4
Direct
0.000 0.500 0.761
0.500 0.000 0.239
0.000 0.000 0.500
0.500 0.500 0.500
0.500 0.500 0.000
0.000 0.000 0.000
0.500 0.000 0.658
0.000 0.500 0.342
```



VASP calculation (meta-GGA SCAN) on a PBEsol-optimized structure of Mn3WBr.
'''

LCD_DB4     VAR PORTB.7       ' Set port for 4 bits bus
LCD_RS      VAR PORTB.0       ' Set RS bit port
LCD_E       VAR PORTB.1       ' Set Enable bit port
LCD_Lines     CON 2         ' # of Lines on LCD,  1 or 2 (Note: use 2 for 4 lines)
LCD_DATAUS    CON 50        ' Data delay time in us 
LCD_COMMANDUS CON 2000      ' Command delay time in us 
INCLUDE "LCD_AnyPin.pbp"    ' Must go after LCD initialization 
Pause 500: LCDOUT $FE,1: pause 250   ' clear screen and relax

• Here the text breaks off for materials data:
Entry 1:
Cs7Au5O2 | PBEsol | optimized geometry

```
14
Lattice="5.925 0.000 0.000 0.000 9.567 0.000 -2.962 -4.784 8.392" Properties=species:S:1:pos:R:3 pbc="T T T"
Cs 2.962 2.693 5.526
Cs 2.962 7.553 0.000
Cs 2.962 -2.693 5.526
Cs 0.000 2.090 2.865
Cs 0.000 7.477 2.865
Cs 2.962 2.014 0.000
Cs 0.000 4.784 0.000
Au 2.962 4.784 2.495
Au 0.000 4.784 5.218
Au 0.000 0.000 0.000
Au 0.000 0.000 5.897
Au 2.962 0.000 3.174
O 0.000 7.566 0.000
O 0.000 2.001 0.000
```

Values from the calculation:
The formation energy (no corrections) comes out at -0.54 eV/atom. The calculated volume comes out at 476 Å³ per cell. The density comes out at 6.80 Mg/m³.

Entry 2:
CsPAuO2 | PBEsol | optimized geometry

```
5
Lattice="-2.108 2.178 2.696 -3.038 -2.680 -0.210 2.940 -3.750 5.329" Properties=species:S:1:pos:R:3 pbc="T T T"
Cs 0.000 0.000 0.000
P 1.470 -1.875 2.664
Au -1.103 -2.126 3.907
O -1.519 -1.340 -0.105
O -1.054 1.089 1.348
```

Values from the calculation:
The formation energy (no corrections) comes out at 1.08 eV/atom. The calculated volume comes out at 118 Å³ per cell. The density comes out at 5.55 Mg/m³.

Entry 3:
Cs3OsAu | PBEsol | optimized geometry

```
5
Lattice="5.817 0.000 0.000 0.000 5.817 0.000 0.000 0.000 5.817" Properties=species:S:1:pos:R:3 pbc="T T T"
Cs 0.000 2.908 0.000
Cs 0.000 0.000 2.908
Cs 2.908 0.000 0.000
Os 0.000 0.000 0.000
Au 2.908 2.908 2.908
```

Values from the calculation:
Its formation energy is 1.019 eV per atom. The calculated volume comes out at 197 Å³ per cell. The density comes out at 6.63 Mg/m³.

~~~~~

La4PmDy2Er | GGA-PBE | relaxed

It has space group P2/m (No. 10), with a = 5.9898 Å, b = 5.9817 Å, c = 7.7381 Å, α = 90.00°, β = 90.02° and γ = 90.00°. Symmetry generates all atoms from La at (0.9999, 0.0000, 0.2428), La at (0.4991, 0.5000, 0.7574), Pm at (0.5000, 0.0000, 0.5000), Dy at (0.0000, 0.5000, 0.5000), Dy at (0.5000, 0.0000, 0.0000) and Er at (0.0000, 0.5000, 0.0000).

As for the calculated volume: 34.656 A^3/atom. For the calculated formation energy, the calculation gives 64 kJ/mol of formula units.

---

DyGeAu3 | GGA-PBE | relaxed

It has space group P2_1/m (No. 11), with a = 6.9744 Å, b = 4.3184 Å, c = 7.0182 Å, α = 90.00°, β = 105.35° and γ = 90.00°. Symmetry generates all atoms from Dy at (0.1942, 0.2500, 0.1936), Ge at (0.4495, 0.2500, 0.7646), Au at (0.0456, 0.2500, 0.6581), Au at (0.2579, 0.7500, 0.9091) and Au at (0.3619, 0.7500, 0.5241).

As for the calculated volume: 20.383 A^3/atom. For the calculated formation energy, the calculation gives -243 kJ/mol of formula units.

---

Ce2Pm3ErS6 | GGA-PBE | relaxed

It has space group C2/m (No. 12), with a = 6.9300 Å, b = 12.0171 Å, c = 6.9341 Å, α = 90.00°, β = 109.58° and γ = 90.00°. Symmetry generates all atoms from Ce at (0.0000, 0.1661, 0.0000), Pm at (0.0000, 0.0000, 0.5000), Pm at (0.0000, 0.3320, 0.5000), Er at (0.0000, 0.5000, 0.0000), S at (0.2439, 0.3370, 0.2437) and S at (0.2436, 0.5000, 0.7544).


i2cdevice =160

LCDOUT $FE,$80,"Start" 
pause 500 

for i2caddr = 0 to 2048 step 16
    i2cwrite d1,d2,i2cdevice,i2caddr,[$01]:i2caddr = i2caddr + 1:pause 10
    i2cwrite d1,d2,i2cdevice,i2caddr,[$01]:i2caddr = i2caddr + 1:pause 10
    i2cwrite d1,d2,i2cdevice,i2caddr,[$01]:i2caddr = i2caddr + 1:pause 10
    i2cwrite d1,d2,i2cdevice,i2caddr,[$3c]:i2caddr = i2caddr + 1:pause 10
    i2cwrite d1,d2,i2cdevice,i2caddr,[$3c]:i2caddr = i2caddr + 1:pause 10
    i2cwrite d1,d2,i2cdevice,i2caddr,[$3c]:i2caddr = i2caddr + 1:pause 10
    i2cwrite d1,d2,i2cdevice,i2caddr,[$3c]:i2caddr = i2caddr + 1:pause 10
    i2cwrite d1,d2,i2cdevice,i2caddr,[$3c]:i2caddr = i2caddr + 1:pause 10
    i2cwrite d1,d2,i2cdevice,i2caddr,[$3c]:i2caddr = i2caddr + 1:pause 10
    i2cwrite d1,d2,i2cdevice,i2caddr,[$08]:i2caddr = i2caddr + 1:pause 10
    i2cwrite d1,d2,i2cdevice,i2caddr,[$08]:i2caddr = i2caddr + 1:pause 10
    i2cwrite d1,d2,i2cdevice,i2caddr,[$08]:i2caddr = i2caddr + 1:pause 10
    i2cwrite d1,d2,i2cdevice,i2caddr,[$21]:i2caddr = i2caddr + 1:pause 10
    i2cwrite d1,d2,i2cdevice,i2caddr,[$21]:i2caddr = i2caddr + 1:pause 10
    i2cwrite d1,d2,i2cdevice,i2caddr,[$21]:i2caddr = i2caddr + 1:pause 10
    i2cwrite d1,d2,i2cdevice,i2caddr,[$FF]:pause 10

i2caddr = 0
i2cread d1,d2,i2cdevice,i2caddr,[dat[0],dat[1],dat[2],dat[3],dat[4],dat[5],dat[6],dat[7],dat[8],dat[9],dat[10],dat[11],dat[12],dat[13],dat[14],dat[15]]
pause 10
errchk = 0
for i = 0 to 15
    errchk = errchk + dat[i]
    LCDOUT $FE,1
    lcdout $FE,$80,dec errchk: pause 3000

if errchk = 741 then ERRStatus = 0
i2caddr = 2032
i2cread d1,d2,i2cdevice,i2caddr,[dat[0],dat[1],dat[2],dat[3],dat[4],dat[5],dat[6],dat[7],dat[8],dat[9],dat[10],dat[11],dat[12],dat[13],dat[14],dat[15]]
pause 10
Errchk = 0
for i = 0 to 15
    errchk = errchk + dat[i]
   ; LCDOUT $FE,1
   ; lcdout $FE,$80,dec ERRCHK: pause 2000

if errchk = 741 and errstatus = 0 then 
    high ok
    pause 10000
    low ok
lcdout $FE,$C0,dec ERRCHK
LCDOUT $FE,$80,hex dat[0],hex dat[1],hex dat[2],hex dat[3],hex dat[4],hex dat[5],hex dat[6],hex dat[7]    
LCDOUT $FE,$C0,hex dat[8],hex dat[9],hex dat[10],hex dat[11],hex dat[12],hex dat[13],hex dat[14],hex dat[15]

Thanks for any help.
